Excerpt =
-- begin --
Record 1
Computed, not measured: a structure of composition C42H35ClN2PS2SbSc, with wB97M-V/def2-TZVPD.

Summary:
strongest force on any atom = 0.013 Eh/bohr
energy relative to the best compared isomer or geometry (same formula, charge and spin) = 48.6 kJ/mol
net charge = +3
frontier orbital gap = 5.689 eV

Geometry as XYZ:
```
85
Properties=species:S:1:pos:R:3:forces:R:3
Sc 1.43908 0.05867 -1.01134 -0.24 0.47 -0.42
Cl 3.70906 -1.03059 -1.19531 0.02 -0.07 0.03
C 4.47161 -1.03122 0.44401 -0.01 0.01 -0.11
C 5.80582 -1.36779 0.44624 0.00 0.02 0.09
C 6.44262 -1.43410 1.68098 0.00 -0.01 -0.04
C 5.74001 -1.17684 2.84895 -0.02 0.01 0.00
C 4.39444 -0.84570 2.79936 0.01 0.02 -0.01
C 3.72090 -0.75444 1.57826 0.03 -0.09 0.05
P 1.93928 -0.44683 1.49533 -0.03 -0.18 0.06
C 1.09154 -1.94156 2.01196 -0.01 -0.01 0.18
C 0.63913 -2.82916 1.03637 0.04 -0.07 -0.20
C 0.08197 -4.04579 1.40304 0.02 0.04 0.05
C -0.04090 -4.36487 2.74787 0.01 0.00 -0.01
C 0.39013 -3.47471 3.72647 -0.02 -0.03 -0.01
C 0.96021 -2.26700 3.36390 -0.02 0.02 0.00
C 1.52726 0.90049 2.61122 -0.05 0.01 0.02
C 0.19418 1.01300 3.01735 -0.01 -0.02 0.05
C -0.18656 2.06817 3.82986 -0.03 0.03 0.02
C 0.74776 3.01692 4.22762 -0.02 0.00 0.01
C 2.06638 2.91798 3.80636 0.02 -0.03 -0.04
C 2.46018 1.86445 2.99331 0.00 0.04 -0.03
H 6.33806 -1.57894 -0.47043 0.00 0.00 -0.01
H 7.49095 -1.69636 1.71946 0.01 0.00 0.00
H 6.24069 -1.24008 3.80507 0.00 0.00 0.01
H 3.85820 -0.65811 3.72108 -0.03 0.02 0.00
H 0.73806 -2.61319 -0.03023 0.02 0.04 0.12
H -0.24693 -4.74088 0.64312 0.00 0.00 -0.01
H -0.46881 -5.31483 3.03906 0.00 -0.01 0.01
H 0.28993 -3.73060 4.77241 0.00 0.00 0.01
H 1.29355 -1.57867 4.13105 0.02 0.01 0.00
H -0.53841 0.26320 2.73430 0.03 0.02 -0.02
H -1.21002 2.14050 4.17309 0.00 0.00 -0.01
H 0.45058 3.82814 4.87840 -0.01 0.01 0.00
H 2.79488 3.65146 4.12357 0.01 0.01 0.01
H 3.49135 1.79712 2.67306 0.04 -0.04 0.00
S -0.12085 -0.81795 -2.59263 0.31 0.10 0.08
Sb -2.34779 -1.19540 -1.86214 0.15 0.05 0.05
C -3.51529 -0.70731 -3.49406 -0.07 0.02 -0.11
C -3.31015 0.49793 -4.16310 -0.03 -0.03 -0.04
C -4.13234 0.81361 -5.23138 0.01 0.01 0.00
C -5.13878 -0.06429 -5.61821 -0.02 0.01 -0.02
C -5.33440 -1.26108 -4.94557 0.01 -0.02 0.03
C -4.51912 -1.59502 -3.87287 -0.03 0.04 -0.01
C -2.53525 -3.21218 -1.43908 -0.04 -0.18 0.04
C -2.27823 -4.07121 -2.50982 0.00 -0.05 0.05
C -2.44177 -5.43683 -2.33471 0.01 0.04 -0.02
C -2.87097 -5.93226 -1.11017 -0.01 -0.03 0.02
C -3.12717 -5.07267 -0.05069 0.00 0.02 0.00
C -2.95514 -3.70440 -0.20545 0.00 -0.03 -0.03
C -2.57186 0.17458 -0.29810 0.03 0.10 0.12
C -2.06540 1.45876 -0.52190 0.03 -0.02 0.08
C -2.31783 2.46624 0.39909 0.02 0.00 -0.02
C -3.06778 2.19658 1.53617 0.00 0.04 0.02
C -3.56342 0.92131 1.76092 0.00 -0.05 -0.02
C -3.32410 -0.09422 0.84232 -0.05 0.03 -0.03
H -2.51786 1.17919 -3.87646 0.01 -0.01 0.02
H -3.98919 1.74186 -5.76703 0.01 0.01 0.00
H -5.77620 0.18897 -6.45445 0.00 0.00 0.00
H -6.11994 -1.93706 -5.25385 0.00 0.00 0.00
H -4.67579 -2.52924 -3.34769 0.01 -0.01 0.00
H -1.95660 -3.69235 -3.47377 -0.01 0.01 0.00
H -2.24677 -6.11148 -3.15687 0.00 0.00 -0.01
H -3.01378 -6.99708 -0.98387 0.00 -0.01 0.00
H -3.46825 -5.46694 0.89727 -0.01 0.01 0.00
H -3.14777 -3.05169 0.63436 0.01 0.02 0.00
H -1.52529 1.69315 -1.43451 0.00 0.00 -0.01
H -1.96808 3.47278 0.20791 0.01 0.00 0.00
H -3.29132 2.99217 2.23455 0.01 0.00 0.01
H -4.16572 0.71842 2.63649 0.00 -0.01 0.00
H -3.76623 -1.06566 1.01347 0.01 -0.02 0.00
N 2.86489 7.13975 -1.01763 -0.07 0.02 -0.07
C 2.43966 6.32950 -1.99425 0.10 -0.14 0.19
S 1.92151 6.75341 -3.47672 -0.04 0.02 -0.07
C 2.34967 4.87668 -1.64849 0.01 0.08 -0.04
C 1.57471 4.43801 -0.57344 -0.03 -0.08 0.00
C 1.38201 3.08552 -0.39396 0.06 0.12 0.02
N 1.95072 2.16602 -1.19793 -0.08 -0.37 0.02
C 2.75633 2.59090 -2.19978 -0.07 0.08 -0.07
C 2.96723 3.92146 -2.45901 -0.01 -0.05 0.01
H 2.91588 8.13112 -1.19952 0.02 0.02 0.00
H 3.27721 6.79277 -0.16799 0.02 0.00 0.00
H 1.09168 5.14361 0.08877 -0.01 0.00 0.00
H 0.76226 2.71579 0.41756 -0.02 0.00 0.01
-- stop --

Request =
Quote the whole of the entries further above without additions.

Worked solution =
Record 1
Computed, not measured: a structure of composition C42H35ClN2PS2SbSc, with wB97M-V/def2-TZVPD.

Summary:
strongest force on any atom = 0.013 Eh/bohr
energy relative to the best compared isomer or geometry (same formula, charge and spin) = 48.6 kJ/mol
net charge = +3
frontier orbital gap = 5.689 eV

Geometry as XYZ:
```
85
Properties=species:S:1:pos:R:3:forces:R:3
Sc 1.43908 0.05867 -1.01134 -0.24 0.47 -0.42
Cl 3.70906 -1.03059 -1.19531 0.02 -0.07 0.03
C 4.47161 -1.03122 0.44401 -0.01 0.01 -0.11
C 5.80582 -1.36779 0.44624 0.00 0.02 0.09
C 6.44262 -1.43410 1.68098 0.00 -0.01 -0.04
C 5.74001 -1.17684 2.84895 -0.02 0.01 0.00
C 4.39444 -0.84570 2.79936 0.01 0.02 -0.01
C 3.72090 -0.75444 1.57826 0.03 -0.09 0.05
P 1.93928 -0.44683 1.49533 -0.03 -0.18 0.06
C 1.09154 -1.94156 2.01196 -0.01 -0.01 0.18
C 0.63913 -2.82916 1.03637 0.04 -0.07 -0.20
C 0.08197 -4.04579 1.40304 0.02 0.04 0.05
C -0.04090 -4.36487 2.74787 0.01 0.00 -0.01
C 0.39013 -3.47471 3.72647 -0.02 -0.03 -0.01
C 0.96021 -2.26700 3.36390 -0.02 0.02 0.00
C 1.52726 0.90049 2.61122 -0.05 0.01 0.02
C 0.19418 1.01300 3.01735 -0.01 -0.02 0.05
C -0.18656 2.06817 3.82986 -0.03 0.03 0.02
C 0.74776 3.01692 4.22762 -0.02 0.00 0.01
C 2.06638 2.91798 3.80636 0.02 -0.03 -0.04
C 2.46018 1.86445 2.99331 0.00 0.04 -0.03
H 6.33806 -1.57894 -0.47043 0.00 0.00 -0.01
H 7.49095 -1.69636 1.71946 0.01 0.00 0.00
H 6.24069 -1.24008 3.80507 0.00 0.00 0.01
H 3.85820 -0.65811 3.72108 -0.03 0.02 0.00
H 0.73806 -2.61319 -0.03023 0.02 0.04 0.12
H -0.24693 -4.74088 0.64312 0.00 0.00 -0.01
H -0.46881 -5.31483 3.03906 0.00 -0.01 0.01
H 0.28993 -3.73060 4.77241 0.00 0.00 0.01
H 1.29355 -1.57867 4.13105 0.02 0.01 0.00
H -0.53841 0.26320 2.73430 0.03 0.02 -0.02
H -1.21002 2.14050 4.17309 0.00 0.00 -0.01
H 0.45058 3.82814 4.87840 -0.01 0.01 0.00
H 2.79488 3.65146 4.12357 0.01 0.01 0.01
H 3.49135 1.79712 2.67306 0.04 -0.04 0.00
S -0.12085 -0.81795 -2.59263 0.31 0.10 0.08
Sb -2.34779 -1.19540 -1.86214 0.15 0.05 0.05
C -3.51529 -0.70731 -3.49406 -0.07 0.02 -0.11
C -3.31015 0.49793 -4.16310 -0.03 -0.03 -0.04
C -4.13234 0.81361 -5.23138 0.01 0.01 0.00
C -5.13878 -0.06429 -5.61821 -0.02 0.01 -0.02
C -5.33440 -1.26108 -4.94557 0.01 -0.02 0.03
C -4.51912 -1.59502 -3.87287 -0.03 0.04 -0.01
C -2.53525 -3.21218 -1.43908 -0.04 -0.18 0.04
C -2.27823 -4.07121 -2.50982 0.00 -0.05 0.05
C -2.44177 -5.43683 -2.33471 0.01 0.04 -0.02
C -2.87097 -5.93226 -1.11017 -0.01 -0.03 0.02
C -3.12717 -5.07267 -0.05069 0.00 0.02 0.00
C -2.95514 -3.70440 -0.20545 0.00 -0.03 -0.03
C -2.57186 0.17458 -0.29810 0.03 0.10 0.12
C -2.06540 1.45876 -0.52190 0.03 -0.02 0.08
C -2.31783 2.46624 0.39909 0.02 0.00 -0.02
C -3.06778 2.19658 1.53617 0.00 0.04 0.02
C -3.56342 0.92131 1.76092 0.00 -0.05 -0.02
C -3.32410 -0.09422 0.84232 -0.05 0.03 -0.03
H -2.51786 1.17919 -3.87646 0.01 -0.01 0.02
H -3.98919 1.74186 -5.76703 0.01 0.01 0.00
H -5.77620 0.18897 -6.45445 0.00 0.00 0.00
H -6.11994 -1.93706 -5.25385 0.00 0.00 0.00
H -4.67579 -2.52924 -3.34769 0.01 -0.01 0.00
H -1.95660 -3.69235 -3.47377 -0.01 0.01 0.00
H -2.24677 -6.11148 -3.15687 0.00 0.00 -0.01
H -3.01378 -6.99708 -0.98387 0.00 -0.01 0.00
H -3.46825 -5.46694 0.89727 -0.01 0.01 0.00
H -3.14777 -3.05169 0.63436 0.01 0.02 0.00
H -1.52529 1.69315 -1.43451 0.00 0.00 -0.01
H -1.96808 3.47278 0.20791 0.01 0.00 0.00
H -3.29132 2.99217 2.23455 0.01 0.00 0.01
H -4.16572 0.71842 2.63649 0.00 -0.01 0.00
H -3.76623 -1.06566 1.01347 0.01 -0.02 0.00
N 2.86489 7.13975 -1.01763 -0.07 0.02 -0.07
C 2.43966 6.32950 -1.99425 0.10 -0.14 0.19
S 1.92151 6.75341 -3.47672 -0.04 0.02 -0.07
C 2.34967 4.87668 -1.64849 0.01 0.08 -0.04
C 1.57471 4.43801 -0.57344 -0.03 -0.08 0.00
C 1.38201 3.08552 -0.39396 0.06 0.12 0.02
N 1.95072 2.16602 -1.19793 -0.08 -0.37 0.02
C 2.75633 2.59090 -2.19978 -0.07 0.08 -0.07
C 2.96723 3.92146 -2.45901 -0.01 -0.05 0.01
H 2.91588 8.13112 -1.19952 0.02 0.02 0.00
H 3.27721 6.79277 -0.16799 0.02 0.00 0.00
H 1.09168 5.14361 0.08877 -0.01 0.00 0.00
H 0.76226 2.71579 0.41756 -0.02 0.00 0.01